(Exercise)
What is needed: reproduce the whole of the entries further down without altering anything.

(Entries)
Compound: CoBiSCl2
Source: the Alexandria database
Functional: PBE
Structure: relaxed

Results
distance to the lowest polymorph of the same formula	0.0	meV/atom
uncorrected formation energy	-118	meV per atom

Cell lengths 4.558, 4.558, 4.743 Å; angles 90.00, 90.00, 90.00 degrees
Last column: magnetic moment on the atom in μB.
Element x y z (fractional)
1 S 0.000 0.000 0.500  0.03
2 Co 0.000 0.000 0.000  1.08
3 Bi 0.500 0.500 0.500  -0.15
4 Cl 0.000 0.500 0.000  0.01
5 Cl 0.500 0.000 0.000  0.01

Compound: CoBiSCl2
Source: the Alexandria database
Functional: PBE
Structure: relaxed

Results
distance to the lowest polymorph of the same formula	539.8	meV/atom
uncorrected formation energy	422	meV per atom

Cell lengths 5.361, 5.361, 5.431 Å; angles 90.00, 90.00, 90.00 degrees
Last column: magnetic moment on the atom in μB.
Element x y z (fractional)
1 S 0.000 0.000 0.500  -0.02
2 Co 0.500 0.500 0.500  2.16
3 Bi 0.000 0.000 0.000  0.00
4 Cl 0.000 0.500 0.000  0.00
5 Cl 0.500 0.000 0.000  0.00

Compound: CoSiBi2Cl
Source: the Alexandria database
Functional: PBE
Structure: relaxed

Results
uncorrected formation energy	916	meV per atom

Cell lengths 5.640, 4.018, 5.640 Å; angles 90.00, 90.00, 90.00 degrees
Last column: magnetic moment on the atom in μB.
Element x y z (fractional)
1 Si 0.500 0.500 0.500  0.01
2 Co 0.000 0.500 0.000  0.95
3 Bi 0.000 0.000 0.500  -0.02
4 Bi 0.500 0.000 0.000  -0.01
5 Cl 0.000 0.000 0.000  0.03

Compound: TlCoBiCl6
Source: the Alexandria database
Functional: PBE
Structure: relaxed

Results
uncorrected formation energy	-850	meV per atom

Cell lengths 6.785, 6.811, 7.044 Å; angles 89.88, 89.77, 60.12 degrees
Last column: magnetic moment on the atom in μB.
Element x y z (fractional)
1 Tl 0.000 0.999 0.000  0.01
2 Co 0.667 0.666 0.500  2.51
3 Bi 0.334 0.332 0.500  0.00
4 Cl 0.969 0.386 0.293  0.06
5 Cl 0.390 0.970 0.709  0.05
6 Cl 0.645 0.386 0.707  0.06
7 Cl 0.969 0.645 0.707  0.05
8 Cl 0.385 0.645 0.293  0.05
9 Cl 0.640 0.970 0.291  0.05

Compound: TlCo2BiCl8
Source: the Alexandria database
Functional: PBE
Structure: relaxed

Results
uncorrected formation energy	-753	meV per atom

Cell lengths 6.471, 6.471, 10.330 Å; angles 71.75, 71.75, 60.00 degrees
Last column: magnetic moment on the atom in μB.
Element x y z (fractional)
1 Tl 0.500 0.500 0.500  0.00
2 Co 0.251 0.251 0.246  2.40
3 Co 0.749 0.749 0.754  2.40
4 Bi 0.000 0.000 0.000  0.02
5 Cl 0.176 0.176 0.473  0.14
6 Cl 0.603 0.289 0.169  0.07
7 Cl 0.824 0.824 0.527  0.14
8 Cl 0.939 0.603 0.169  0.07
9 Cl 0.061 0.397 0.831  0.07
10 Cl 0.289 0.939 0.169  0.07
11 Cl 0.711 0.061 0.831  0.07
12 Cl 0.397 0.711 0.831  0.07

Compound: YCoBiCl2
Source: the Alexandria database
Functional: PBE
Structure: relaxed

Results
uncorrected formation energy	459	meV per atom

Cell lengths 5.266, 6.518, 5.266 Å; angles 90.00, 90.00, 90.00 degrees
Last column: magnetic moment on the atom in μB.
Element x y z (fractional)
1 Y 0.000 0.500 0.000  -0.36
2 Co 0.500 0.500 0.500  2.09
3 Bi 0.000 0.000 0.000  -0.03
4 Cl 0.000 0.000 0.500  -0.01
5 Cl 0.500 0.000 0.000  -0.01

Compound: CrBi2Cl2
Source: the Alexandria database
Functional: PBE
Structure: relaxed

Results
distance to the lowest polymorph of the same formula	593.2	meV/atom
uncorrected formation energy	484	meV per atom

Cell lengths 3.623, 3.623, 10.116 Å; angles 79.68, 79.68, 90.00 degrees
Last column: magnetic moment on the atom in μB.
Element x y z (fractional)
1 Cr 0.000 0.000 0.000  0.06
2 Bi 0.421 0.421 0.158  -0.01
3 Bi 0.579 0.579 0.842  -0.01
4 Cl 0.750 0.250 0.500  0.00
5 Cl 0.250 0.750 0.500  0.00

Compound: CrBi2Cl
Source: the Alexandria database
Functional: PBE
Structure: relaxed

Results
distance to the lowest polymorph of the same formula	0.0	meV/atom
uncorrected formation energy	284	meV per atom

Cell lengths 5.188, 5.188, 5.188 Å; angles 60.00, 60.00, 60.00 degrees
Last column: magnetic moment on the atom in μB.
Element x y z (fractional)
1 Cr 0.500 0.500 0.500  3.82
2 Bi 0.250 0.250 0.250  -0.02

(Done)
Compound: CoBiSCl2
Source: the Alexandria database
Functional: PBE
Structure: relaxed

Results
distance to the lowest polymorph of the same formula	0.0	meV/atom
uncorrected formation energy	-118	meV per atom

Cell lengths 4.558, 4.558, 4.743 Å; angles 90.00, 90.00, 90.00 degrees
Last column: magnetic moment on the atom in μB.
Element x y z (fractional)
1 S 0.000 0.000 0.500  0.03
2 Co 0.000 0.000 0.000  1.08
3 Bi 0.500 0.500 0.500  -0.15
4 Cl 0.000 0.500 0.000  0.01
5 Cl 0.500 0.000 0.000  0.01

Compound: CoBiSCl2
Source: the Alexandria database
Functional: PBE
Structure: relaxed

Results
distance to the lowest polymorph of the same formula	539.8	meV/atom
uncorrected formation energy	422	meV per atom

Cell lengths 5.361, 5.361, 5.431 Å; angles 90.00, 90.00, 90.00 degrees
Last column: magnetic moment on the atom in μB.
Element x y z (fractional)
1 S 0.000 0.000 0.500  -0.02
2 Co 0.500 0.500 0.500  2.16
3 Bi 0.000 0.000 0.000  0.00
4 Cl 0.000 0.500 0.000  0.00
5 Cl 0.500 0.000 0.000  0.00

Compound: CoSiBi2Cl
Source: the Alexandria database
Functional: PBE
Structure: relaxed

Results
uncorrected formation energy	916	meV per atom

Cell lengths 5.640, 4.018, 5.640 Å; angles 90.00, 90.00, 90.00 degrees
Last column: magnetic moment on the atom in μB.
Element x y z (fractional)
1 Si 0.500 0.500 0.500  0.01
2 Co 0.000 0.500 0.000  0.95
3 Bi 0.000 0.000 0.500  -0.02
4 Bi 0.500 0.000 0.000  -0.01
5 Cl 0.000 0.000 0.000  0.03

Compound: TlCoBiCl6
Source: the Alexandria database
Functional: PBE
Structure: relaxed

Results
uncorrected formation energy	-850	meV per atom

Cell lengths 6.785, 6.811, 7.044 Å; angles 89.88, 89.77, 60.12 degrees
Last column: magnetic moment on the atom in μB.
Element x y z (fractional)
1 Tl 0.000 0.999 0.000  0.01
2 Co 0.667 0.666 0.500  2.51
3 Bi 0.334 0.332 0.500  0.00
4 Cl 0.969 0.386 0.293  0.06
5 Cl 0.390 0.970 0.709  0.05
6 Cl 0.645 0.386 0.707  0.06
7 Cl 0.969 0.645 0.707  0.05
8 Cl 0.385 0.645 0.293  0.05
9 Cl 0.640 0.970 0.291  0.05

Compound: TlCo2BiCl8
Source: the Alexandria database
Functional: PBE
Structure: relaxed

Results
uncorrected formation energy	-753	meV per atom

Cell lengths 6.471, 6.471, 10.330 Å; angles 71.75, 71.75, 60.00 degrees
Last column: magnetic moment on the atom in μB.
Element x y z (fractional)
1 Tl 0.500 0.500 0.500  0.00
2 Co 0.251 0.251 0.246  2.40
3 Co 0.749 0.749 0.754  2.40
4 Bi 0.000 0.000 0.000  0.02
5 Cl 0.176 0.176 0.473  0.14
6 Cl 0.603 0.289 0.169  0.07
7 Cl 0.824 0.824 0.527  0.14
8 Cl 0.939 0.603 0.169  0.07
9 Cl 0.061 0.397 0.831  0.07
10 Cl 0.289 0.939 0.169  0.07
11 Cl 0.711 0.061 0.831  0.07
12 Cl 0.397 0.711 0.831  0.07

Compound: YCoBiCl2
Source: the Alexandria database
Functional: PBE
Structure: relaxed

Results
uncorrected formation energy	459	meV per atom

Cell lengths 5.266, 6.518, 5.266 Å; angles 90.00, 90.00, 90.00 degrees
Last column: magnetic moment on the atom in μB.
Element x y z (fractional)
1 Y 0.000 0.500 0.000  -0.36
2 Co 0.500 0.500 0.500  2.09
3 Bi 0.000 0.000 0.000  -0.03
4 Cl 0.000 0.000 0.500  -0.01
5 Cl 0.500 0.000 0.000  -0.01

Compound: CrBi2Cl2
Source: the Alexandria database
Functional: PBE
Structure: relaxed

Results
distance to the lowest polymorph of the same formula	593.2	meV/atom
uncorrected formation energy	484	meV per atom

Cell lengths 3.623, 3.623, 10.116 Å; angles 79.68, 79.68, 90.00 degrees
Last column: magnetic moment on the atom in μB.
Element x y z (fractional)
1 Cr 0.000 0.000 0.000  0.06
2 Bi 0.421 0.421 0.158  -0.01
3 Bi 0.579 0.579 0.842  -0.01
4 Cl 0.750 0.250 0.500  0.00
5 Cl 0.250 0.750 0.500  0.00

Compound: CrBi2Cl
Source: the Alexandria database
Functional: PBE
Structure: relaxed

Results
distance to the lowest polymorph of the same formula	0.0	meV/atom
uncorrected formation energy	284	meV per atom

Cell lengths 5.188, 5.188, 5.188 Å; angles 60.00, 60.00, 60.00 degrees
Last column: magnetic moment on the atom in μB.
Element x y z (fractional)
1 Cr 0.500 0.500 0.500  3.82
2 Bi 0.250 0.250 0.250  -0.02